• Exercise:
Write out all of the block underneath without altering anything.
• Material:
- - -
Model w:
First-principles (PBE) data for a geometry-optimized BaMnRu2 structure, as listed in Alexandria via LeMat-Bulk.

The symmetry is P4/mmm, No. 123. The calculation puts the density of states at the Fermi level at 4.4 states/eV/cell.

```
BaMnRu2
1.0
3.1163 0.0000 0.0000
0.0000 3.1163 0.0000
0.0000 0.0000 7.8131
Ba Mn Ru
1 1 2
Cartesian
0.0000 0.0000 0.0000
0.0000 0.0000 3.9066
1.5581 1.5581 2.5616
1.5581 1.5581 5.2515
```

***

Model x:
First-principles (PBE) data for a geometry-optimized BaMnRu2 structure, as listed in Alexandria via LeMat-Bulk.

The symmetry is P4/mmm, No. 123. The calculation puts the density of states at the Fermi level at 6.8 states/eV/cell.

```
BaMnRu2
1.0
4.7737 0.0000 0.0000
0.0000 4.7737 0.0000
0.0000 0.0000 3.3619
Ba Mn Ru
1 1 2
Cartesian
0.0000 0.0000 0.0000
2.3868 2.3868 0.0000
0.0000 2.3868 1.6809
2.3868 0.0000 1.6809
```

***

Of them, model w has the highest stability.

***

Model w:
First-principles (PBE) data for a geometry-optimized BaMnRu2 structure, as listed in Alexandria via LeMat-Bulk.

The symmetry is Fm-3m, No. 225. The calculation puts the density of states at the Fermi level at 18.8 states/eV/cell.

```
BaMnRu2
1.0
0.0000 3.2955 3.2955
3.2955 0.0000 3.2955
3.2955 3.2955 0.0000
Ba Mn Ru
1 1 2
Cartesian
0.0000 0.0000 0.0000
3.2955 3.2955 3.2955
1.6477 1.6477 1.6477
4.9432 4.9432 4.9432
```

***

Model x:
First-principles (PBE) data for a geometry-optimized BaMnRu2 structure, as listed in Alexandria via LeMat-Bulk.

The symmetry is Pmmm, No. 47. The calculation puts the density of states at the Fermi level at 4.9 states/eV/cell.

```
BaMnRu2
1.0
3.1917 0.0000 0.0000
0.0000 4.6546 0.0000
0.0000 0.0000 5.1289
Ba Mn Ru
1 1 2
Cartesian
0.0000 0.0000 0.0000
1.5959 0.0000 2.5644
0.0000 2.3273 2.5644
1.5959 2.3273 0.0000
```

***

Model y:
First-principles (PBE) data for a geometry-optimized BaMnRu2 structure, as listed in Alexandria via LeMat-Bulk.

The symmetry is C2/m, No. 12. The calculation puts the density of states at the Fermi level at 5.7 states/eV/cell.

```
BaMnRu2
1.0
2.9907 -4.6434 0.0000
2.9907 4.6434 0.0000
-1.3491 0.0000 2.7173
Ba Mn Ru
1 1 2
Cartesian
0.0000 0.0000 0.0000
2.9907 0.0000 0.0000
0.8208 2.3217 1.3586
0.8208 -2.3217 1.3586
```

***

Model z:
First-principles (PBE) data for a geometry-optimized BaMnRu2 structure, as listed in Alexandria via LeMat-Bulk.

The symmetry is R3m, No. 160. The calculation puts the density of states at the Fermi level at 2.9 states/eV/cell.

```
BaMnRu2
1.0
2.1712 1.2535 5.8909
-2.1712 1.2535 5.8909
0.0000 -2.5071 5.8909
Ba Mn Ru
1 1 2
Cartesian
0.0000 0.0000 0.0000
0.0000 0.0000 3.3916
0.0000 0.0000 8.5379
0.0000 0.0000 14.3280
```

***

Of them, model z has the highest stability.

***

Model w:
First-principles (PBE) data for a geometry-optimized BaMnRu2 structure, as listed in Alexandria via LeMat-Bulk.

The symmetry is Pm, No. 6. The calculation puts the density of states at the Fermi level at 3.4 states/eV/cell.

```
BaMnRu2
1.0
3.9366 0.0000 0.0000
0.0000 3.9354 0.0000
-0.0079 0.0000 6.0280
Ba Mn Ru
1 1 2
Cartesian
0.0000 0.0000 0.0000
1.9574 1.9677 4.0207
1.9602 0.0000 2.8344
3.9265 1.9677 2.8351
```

***

Model x:
First-principles (PBE) data for a geometry-optimized BaMnRu2 structure, as listed in Alexandria via LeMat-Bulk.

The symmetry is I4_1/amd, No. 141. The calculation puts the density of states at the Fermi level at 14.6 states/eV/cell.

```
BaMnRu2
1.0
-2.5492 2.5492 7.6577
2.5492 -2.5492 7.6577
2.5492 2.5492 -7.6577
Ba Mn Ru
2 2 4
Cartesian
2.5492 1.2746 1.9144
0.0000 1.2746 5.7433
2.5492 -1.2746 5.7433
0.0000 3.8238 1.9144
0.0000 0.0000 0.0000
1.2746 1.2746 -3.8288
1.2746 -1.2746 3.8288
0.0000 2.5492 0.0000
```

***

Model y:
First-principles (PBE) data for a geometry-optimized BaMnRu2 structure, as listed in Alexandria via LeMat-Bulk.

The symmetry is R-3m, No. 166. The calculation puts the density of states at the Fermi level at 3.9 states/eV/cell.

```
BaMnRu2
1.0
2.1665 1.2508 5.8582
-2.1665 1.2508 5.8582
- - -
• Reply:
Model w:
First-principles (PBE) data for a geometry-optimized BaMnRu2 structure, as listed in Alexandria via LeMat-Bulk.

The symmetry is P4/mmm, No. 123. The calculation puts the density of states at the Fermi level at 4.4 states/eV/cell.

```
BaMnRu2
1.0
3.1163 0.0000 0.0000
0.0000 3.1163 0.0000
0.0000 0.0000 7.8131
Ba Mn Ru
1 1 2
Cartesian
0.0000 0.0000 0.0000
0.0000 0.0000 3.9066
1.5581 1.5581 2.5616
1.5581 1.5581 5.2515
```

***

Model x:
First-principles (PBE) data for a geometry-optimized BaMnRu2 structure, as listed in Alexandria via LeMat-Bulk.

The symmetry is P4/mmm, No. 123. The calculation puts the density of states at the Fermi level at 6.8 states/eV/cell.

```
BaMnRu2
1.0
4.7737 0.0000 0.0000
0.0000 4.7737 0.0000
0.0000 0.0000 3.3619
Ba Mn Ru
1 1 2
Cartesian
0.0000 0.0000 0.0000
2.3868 2.3868 0.0000
0.0000 2.3868 1.6809
2.3868 0.0000 1.6809
```

***

Of them, model w has the highest stability.

***

Model w:
First-principles (PBE) data for a geometry-optimized BaMnRu2 structure, as listed in Alexandria via LeMat-Bulk.

The symmetry is Fm-3m, No. 225. The calculation puts the density of states at the Fermi level at 18.8 states/eV/cell.

```
BaMnRu2
1.0
0.0000 3.2955 3.2955
3.2955 0.0000 3.2955
3.2955 3.2955 0.0000
Ba Mn Ru
1 1 2
Cartesian
0.0000 0.0000 0.0000
3.2955 3.2955 3.2955
1.6477 1.6477 1.6477
4.9432 4.9432 4.9432
```

***

Model x:
First-principles (PBE) data for a geometry-optimized BaMnRu2 structure, as listed in Alexandria via LeMat-Bulk.

The symmetry is Pmmm, No. 47. The calculation puts the density of states at the Fermi level at 4.9 states/eV/cell.

```
BaMnRu2
1.0
3.1917 0.0000 0.0000
0.0000 4.6546 0.0000
0.0000 0.0000 5.1289
Ba Mn Ru
1 1 2
Cartesian
0.0000 0.0000 0.0000
1.5959 0.0000 2.5644
0.0000 2.3273 2.5644
1.5959 2.3273 0.0000
```

***

Model y:
First-principles (PBE) data for a geometry-optimized BaMnRu2 structure, as listed in Alexandria via LeMat-Bulk.

The symmetry is C2/m, No. 12. The calculation puts the density of states at the Fermi level at 5.7 states/eV/cell.

```
BaMnRu2
1.0
2.9907 -4.6434 0.0000
2.9907 4.6434 0.0000
-1.3491 0.0000 2.7173
Ba Mn Ru
1 1 2
Cartesian
0.0000 0.0000 0.0000
2.9907 0.0000 0.0000
0.8208 2.3217 1.3586
0.8208 -2.3217 1.3586
```

***

Model z:
First-principles (PBE) data for a geometry-optimized BaMnRu2 structure, as listed in Alexandria via LeMat-Bulk.

The symmetry is R3m, No. 160. The calculation puts the density of states at the Fermi level at 2.9 states/eV/cell.

```
BaMnRu2
1.0
2.1712 1.2535 5.8909
-2.1712 1.2535 5.8909
0.0000 -2.5071 5.8909
Ba Mn Ru
1 1 2
Cartesian
0.0000 0.0000 0.0000
0.0000 0.0000 3.3916
0.0000 0.0000 8.5379
0.0000 0.0000 14.3280
```

***

Of them, model z has the highest stability.

***

Model w:
First-principles (PBE) data for a geometry-optimized BaMnRu2 structure, as listed in Alexandria via LeMat-Bulk.

The symmetry is Pm, No. 6. The calculation puts the density of states at the Fermi level at 3.4 states/eV/cell.

```
BaMnRu2
1.0
3.9366 0.0000 0.0000
0.0000 3.9354 0.0000
-0.0079 0.0000 6.0280
Ba Mn Ru
1 1 2
Cartesian
0.0000 0.0000 0.0000
1.9574 1.9677 4.0207
1.9602 0.0000 2.8344
3.9265 1.9677 2.8351
```

***

Model x:
First-principles (PBE) data for a geometry-optimized BaMnRu2 structure, as listed in Alexandria via LeMat-Bulk.

The symmetry is I4_1/amd, No. 141. The calculation puts the density of states at the Fermi level at 14.6 states/eV/cell.

```
BaMnRu2
1.0
-2.5492 2.5492 7.6577
2.5492 -2.5492 7.6577
2.5492 2.5492 -7.6577
Ba Mn Ru
2 2 4
Cartesian
2.5492 1.2746 1.9144
0.0000 1.2746 5.7433
2.5492 -1.2746 5.7433
0.0000 3.8238 1.9144
0.0000 0.0000 0.0000
1.2746 1.2746 -3.8288
1.2746 -1.2746 3.8288
0.0000 2.5492 0.0000
```

***

Model y:
First-principles (PBE) data for a geometry-optimized BaMnRu2 structure, as listed in Alexandria via LeMat-Bulk.

The symmetry is R-3m, No. 166. The calculation puts the density of states at the Fermi level at 3.9 states/eV/cell.

```
BaMnRu2
1.0
2.1665 1.2508 5.8582
-2.1665 1.2508 5.8582